Need for dividing the loss by accumulating steps when using amp

-- Misplaced calculated crystals --
- - -
Record 1
First-principles (PBE-GGA) data for a relaxed AcSm5In3 crystal, as listed in Alexandria.

Geometry as extended XYZ:
```
18
Lattice="6.973 0.000 0.000 0.000 9.638 0.000 0.000 -4.819 8.346" Properties=species:S:1:pos:R:3 pbc="T T T"
In 1.743 3.270 0.000
In 1.743 3.185 5.515
In 5.230 6.369 0.000
In 5.230 6.453 5.515
In 5.230 1.634 2.831
In 1.743 -1.634 2.831
Sm 5.230 3.205 5.552
Sm 1.743 -3.205 5.552
Sm 1.743 1.614 2.793
Sm 5.230 8.024 2.793
Sm 3.487 0.000 5.562
Sm 0.000 4.819 2.784
Sm 1.743 6.411 0.000
Sm 3.487 4.819 2.784
Sm 0.000 0.000 5.562
Sm 5.230 3.227 0.000
Ac 3.487 0.000 0.000
Ac 0.000 0.000 0.000
```

Properties
Fermi-level density of states in states/eV/atom: 1.405
Total energy in eV per atom: -4.31

***

Record 2
First-principles (PBE-GGA) data for a relaxed AcSmIn crystal, as listed in Alexandria.

Geometry as extended XYZ:
```
6
Lattice="4.992 0.000 0.000 0.000 4.992 0.000 0.000 0.000 8.551" Properties=species:S:1:pos:R:3 pbc="T T T"
Sm 0.000 0.000 4.276
Sm 2.496 2.496 4.276
In 2.496 0.000 6.420
In 0.000 2.496 2.131
Ac 0.000 2.496 7.282
Ac 2.496 0.000 1.269
```

Properties
Fermi-level density of states in states/eV/atom: 1.352
Total energy in eV per atom: -4.16
Offset from the most stable computed form in eV per atom: 0.000

~~~~~

Crystalline ZrTaSb2 at its relaxed geometry. Source: Alexandria via LeMat-Bulk, functional PBE.

Its symmetry is No. 166. The volume is 21.95 Å³ per atom. The value obtained for the formation energy (no corrections) is 0.03 eV/f.u.

Cell: 9.1974 9.1974 9.1974 Å, 21.04 21.04 21.04°
With the nearest neighbours (Å) after each atom.
Fractional coordinates of all 4 atoms:
Sb: 0.5048 0.5048 0.5048  3 Ta 2.87, 3 Zr 3.07
Sb: 0.9952 0.9952 0.9952  3 Ta 2.87, 3 Zr 3.07
Zr: 0.7500 0.7500 0.7500  6 Sb 3.07, 6 Zr 3.36
Ta: 0.2500 0.2500 0.2500  6 Sb 2.87

~~~~~

1.
# BaLi2ZnH

A geometry-optimized BaLi2ZnH structure (PBE, the Alexandria database).

The calculation puts the total DFT energy (no corrections) at -2.13 eV per atom. As for the total magnetization: 0.0 μB per formula unit. The theoretical density is 3.23 g/cm³.

The space group is P4/mmm (No. 123) and the conventional cell measures 4.503, 4.503 and 5.524 Å, with angles of 90.00, 90.00 and 90.00 degrees. The distinct sites, in fractional coordinates, are Ba at (0.000, 0.000, 0.000), Li at (0.000, 0.500, 0.500), Zn at (0.500, 0.500, 0.000) and H at (0.000, 0.000, 0.500).

2.
# Ba2LiZnH6

A geometry-optimized Ba2LiZnH6 structure (PBE, the Alexandria database).

The calculation puts the total DFT energy (no corrections) at -3.02 eV per atom. As for the total magnetization: 0.2 μB per formula unit. The theoretical density is 4.45 g/cm³.
- - -
-- The text goes on --

Hello all, I am trying to train a model using the automatic mixed precision library by nvidia so here is how the code looks like :

def train(train_dataset, train_dataloader, model, device, optimizer, scheduler):
    train_final_loss = utils.AverageMeter() # This is used to calculate the running averag of loss accross batches
    tk0 = tqdm(train_dataloader, total=len(train_dataloader))

• Inserted here: crystal structures:
'''
[1]
Compound: MnInI2O
Source: Alexandria
Functional: GGA+U
Structure: optimized geometry

Cell lengths 6.1076, 6.1076, 3.7628 Å; angles 90.00, 90.00, 90.00 degrees
Space group P4/mmm (No. 123)
Inequivalent atoms, fractional coordinates:
Mn 0.0000 0.0000 0.0000
In 0.5000 0.5000 0.5000
I 0.0000 0.5000 0.0000
O 0.0000 0.0000 0.5000

Its energy above the most stable polymorph in this dataset is 0.0 meV/atom. The value obtained for the energy is -4.21 eV/atom. Its magnetic moment is 4.07 μB/f.u.

=====

[2]
Compound: Ho2Co2O7
Source: Alexandria
Functional: GGA+U
Structure: optimized geometry

Cell lengths 9.8539, 9.8539, 9.8539 Å; angles 90.00, 90.00, 90.00 degrees
Space group Fd-3m (No. 227, origin choice 2)
Inequivalent atoms, fractional coordinates:
Ho 0.0000 0.0000 0.0000
Co 0.0000 0.0000 0.5000
O 0.0783 0.3750 0.8750
O 0.1250 0.1250 0.1250

The value obtained for the energy is -6.91 eV/atom. Its magnetic moment is 2.00 μB/f.u.

* * * * *

Entry from Alexandria via LeMat-Bulk: a relaxed CeAgRh crystal (GGA-PBE).

Results
Calculated formation energy ... -0.304 eV/atom
Space group ... I4mm, No. 107

a b c (Å): 5.5612 5.5612 5.5612
angles (deg): 142.82 142.82 53.60
Element x y z (fractional)
1 Ce 0.0000 0.0000 0.0000
2 Ag 0.6987 0.6987 0.0000
3 Rh 0.3675 0.3675 0.0000

=====

Entry from Alexandria via LeMat-Bulk: a relaxed MgTaRu2 crystal (GGA-PBE).

Results
Calculated formation energy ... -0.052 eV/atom
Space group ... Cmmm, No. 65

a b c (Å): 2.8723 2.8723 8.4352
angles (deg): 90.00 90.00 111.84
Element x y z (fractional)
1 Mg 0.0000 0.0000 0.0000
2 Ta 0.0000 0.0000 0.5000
3 Ru 0.5000 0.5000 0.2599
4 Ru 0.5000 0.5000 0.7401

=====

Entry from Alexandria via LeMat-Bulk: a relaxed AgAuO2F crystal (GGA-PBE).

Results
Uncorrected energy ... -3.2474 eV per atom
Space group ... P4/mmm, No. 123

a b c (Å): 4.1301 4.1301 4.1724
angles (deg): 90.00 90.00 90.00
Element x y z (fractional)
1 Ag 0.0000 0.0000 0.0000
2 Au 0.5000 0.5000 0.5000
3 O 0.0000 0.5000 0.0000
4 O 0.5000 0.0000 0.0000
5 F 0.0000 0.0000 0.5000

=====

Entry from Alexandria via LeMat-Bulk: a relaxed RbSrSb crystal (GGA-PBE).

Results
Uncorrected energy ... -2.7807 eV per atom
Space group ... I4mm, No. 107

a b c (Å): 7.3508 7.3508 7.3508
angles (deg): 143.58 143.58 52.46
Element x y z (fractional)
1 Rb 0.0000 0.0000 0.0000
2 Sr 0.7367 0.7367 0.0000
3 Sb 0.2933 0.2933 0.0000

=====

Entry from Alexandria via LeMat-Bulk: a relaxed Hf2NiC crystal (GGA-PBE).

Results
Calculated formation energy ... -0.515 eV/atom
Space group ... R-3m, No. 166

a b c (Å): 6.8258 6.8258 6.8258
angles (deg): 27.48 27.48 27.48
Element x y z (fractional)
1 Hf 0.2336 0.2336 0.2336
2 Hf 0.7664 0.7664 0.7664
3 Ni 0.0000 0.0000 0.0000
4 C 0.5000 0.5000 0.5000

=====

Entry from Alexandria via LeMat-Bulk: a relaxed TmFeGe2Rh crystal (GGA-PBE).

Results
Calculated formation energy ... -0.643 eV/atom
Space group ... I-4m2, No. 119

a b c (Å): 5.7747 5.7747 5.7747
angles (deg): 138.54 138.54 60.08
'''

    for batch_index, data in enumerate(tk0):
        images = torch.stack(data[IDX_IMAGES]).to(device, dtype=torch.float32)
        targets = data[IDX_TARGETS]
        image_ids = data[IDX_IMAGE_IDS]

        batch_size = images.shape[0]

        boxes = [target['boxes'].to(device, dtype=torch.float32) for target in targets]
        labels = [target['labels'].to(device, dtype=torch.float32) for target in targets]
        target_res = {'cls' : labels, 'bbox' : boxes}

        outputs = model(images, target_res)
        loss = outputs['loss']
        loss = loss / Config.ACCUMULATE 
        train_final_loss.update(loss.item(), batch_size)
            with amp.scale_loss(loss, optimizer) as scaled_loss:
        if (batch_index + 1) % Config.ACCUMULATE == 0 : 

    return train_final_loss.avg

I was seeing that the functions need to have its loss divided the accumulation steps. is that reallly necessary? from my understanding, the gradient accumulation will collect the gradients for accumulation steps and then apply it to the network at the end of that number of step, hence it becomes wrong in dividing the loss by ACCUMULATION_STEPS is wrong. please let me know if I am in right direction.

I’m not sure, if this question is related to amp or the general usage of scaling the loss by the gradient accumulation steps.
If I’m not mistaken, you would divide the loss by the step size to accumulate the gradients in such a way, which would keep the gradient magnitude as it would be using the “bigger batch size”.

If that doesn’t fir your use case, you could remove it.

Hi @ptrblck, sorry for the mixing of concepts. Yes this question was targeted to check on scaling of loss when using gradient accumulation. Currently this is what I am using with Pytorch’s 1.6 amp package.

                import torch.cuda.amp as amp_py

                scaler = amp_py.GradScaler()
                with amp_py.autocast():
                    outputs = model(images, target_res)
                    loss = outputs['loss']
                train_final_loss.update(loss.item(), batch_size) # An instance of averagemeter class that calculates the average on fly
                if (batch_index + 1) % Config.ACCUMULATE == 0: 

and this seems to training well for now.
Can you please elaborate this :

If I’m not mistaken, you would divide the loss by the step size to accumulate the gradients in such a way, which would keep the gradient magnitude as it would be using the “bigger batch size”.

from what I understand is that you are not immediately using the gradients to update the training procedure rather you are adding the gradients for steps and after it reaches a threshold you are making the optimiser to update the weights. I am quite unsure how scaling the loss benefits this.

Accumulating the scaled loss (loss divided by the accumulation steps) would simulate training using a bigger batch size.
E.g. you could perform 10 iterations with a batch size of 1 and accumulate the gradients created by the iter_loss/10, which would create the same gradients as training with a batch size of 10.
This is often used, if you would be running out of memory, but the training would generally benefit from a larger batch size.

Here is a simple code snippet:

lin = nn.Linear(1, 1)

x = torch.randn(10, 1)
y = torch.randn(10, 1)
criterion = nn.MSELoss()

# gradient accumulation approach
for i in range(x.size(0)):
    x_ = x[i:i+1]
    y_ = y[i:i+1]
    out = lin(x_)
    loss = criterion(out, y_)
    loss = loss / x.size(0)

print(lin.weight.grad, lin.bias.grad)
> tensor([[-0.9022]]) tensor([0.5286])

# "large batch" approach
out = lin(x)
loss = criterion(out, y)

print(lin.weight.grad, lin.bias.grad)
> tensor([[-0.9022]]) tensor([0.5286])

This might not fit your use case and you could thus remove the scaling step.


Thanks @ptrblck for the explanation.